Friday, August 30, 2024

Ominous Something New (Numbers 16)


Those among the readership who are in positions of leadership will know that your authority will be questionsed and tested.  It happened to Moses, it could happen to you, whether in the home, office or even at church.

The dissenting group from among the congregation of Israelites instigated by Dathan and Abiram wanted to know who had sent Moses to be over them.  The test for this proof was "something new" so all Israel would know in definite, undisbuted answer.

The something new was terrifying.  Consequences for defying those in positions of authority were severe.  In this case, the ground opened up and swallowed the defy-ers alive.  It wasn't just those named men but their families, homes and possessions, all gone.

This showed that ultimately, 

"these men have despised the LORD" (Numbers 16:30 ESV).

It is a serious matter then, even in our day and age to question the authority of leadership.  The New Tesatment has some guidelines such as, 

"Rebuke not an elder, but entreat him as a father..." (1 Timothy 5:1-2 KJV).

There is leeway to confront if need be but not in defiance.  Also, 

"every charge must be established by the evidence of two or three witnesses" (2 Corinthians 13:1).

Attitudes and motives count.  We wouldn't want an ominous something new to happen to us.  It could cause trouble not just for us as individuals but have repercussions on our family and others.

Father God, help each of us to see when You put someone in authority over us, that we need to respect that position even if we don't like it or the person.  Help us remember that ultimately it would be defiance of You.  Help us to discern when and how to confront when a leader is not fulfilling his or her duties in a God-honoring manner.  Give us the right words, attitudes and motives.  We ask in Jesus' name, amen.

                                                          ~ERC  May 2024~

Based on Numbers 16 especially vs 30 ESV.

Sing, Lord I Need You, along with Matt Maher.

Thursday, August 29, 2024

Obey, Honor, Serve (1 Samuel 8)

 Samuel grew up at the temple under High Priest Eli.  He became a prophet.  During his tenure, the Israelites decided they wanted a king instead of the long line of judges (& prophets).  They wanted to be like all the other nations.

BUT God was already their king!

Samuel said, 

"NO way!  This is NOT right!"

********
Density functional theory data (PBE) for crystalline Bi12Pb2Cl6O17 at its relaxed geometry.

Lattice parameters (Å, degrees): 30.3158 3.9308 12.8104 90.00 105.93 90.00
Space group Cm (No. 8)
Asymmetric unit:
Bi 0.0000 0.0000 0.0000 (multiplicity 2)
Bi 0.0018 0.5000 0.2482 (multiplicity 2)
Bi 0.0901 0.5000 0.5694 (multiplicity 2)
Bi 0.1021 0.0000 0.8176 (multiplicity 2)
Bi 0.1072 0.5000 0.1058 (multiplicity 2)
Bi 0.1885 0.5000 0.4214 (multiplicity 2)
Bi 0.2049 0.5000 0.9608 (multiplicity 2)
Bi 0.2892 0.5000 0.2790 (multiplicity 2)
Bi 0.3090 0.5000 0.8223 (multiplicity 2)
Bi 0.3945 0.5000 0.1321 (multiplicity 2)
Bi 0.3987 0.0000 0.3812 (multiplicity 2)
Bi 0.4132 0.5000 0.6773 (multiplicity 2)
Pb 0.2005 0.0000 0.6987 (multiplicity 2)
Pb 0.2981 0.0000 0.5453 (multiplicity 2)
Cl 0.0037 0.5000 0.8185 (multiplicity 2)
Cl 0.0857 0.0000 0.3173 (multiplicity 2)
Cl 0.2011 0.0000 0.1914 (multiplicity 2)
Cl 0.3095 0.0000 0.0618 (multiplicity 2)
Cl 0.4077 0.0000 0.9408 (multiplicity 2)
Cl 0.4800 0.5000 0.4252 (multiplicity 2)
O 0.0240 0.5000 0.0926 (multiplicity 2)
O 0.0749 0.0000 0.0372 (multiplicity 2)
O 0.0761 0.0000 0.6331 (multiplicity 2)
O 0.1232 0.5000 0.7473 (multiplicity 2)
O 0.1307 0.5000 0.9653 (multiplicity 2)
O 0.1615 0.5000 0.5617 (multiplicity 2)
O 0.1792 0.0000 0.8859 (multiplicity 2)
O 0.2155 0.0000 0.4969 (multiplicity 2)
O 0.2365 0.5000 0.8222 (multiplicity 2)
O 0.2662 0.5000 0.4228 (multiplicity 2)
O 0.2854 0.0000 0.7391 (multiplicity 2)
O 0.3220 0.0000 0.3507 (multiplicity 2)
O 0.3458 0.5000 0.6834 (multiplicity 2)
O 0.3717 0.5000 0.2898 (multiplicity 2)
O 0.4038 0.0000 0.5818 (multiplicity 2)
O 0.4226 0.0000 0.2165 (multiplicity 2)
O 0.4736 0.5000 0.1584 (multiplicity 2)

Summary:
- ΔH_f (0 K) (eV/atom) = -1.52
- mass density (g/cm3) = 7.7

***

Density functional theory data (PBE) for crystalline Bi4PbCl2O6 at its relaxed geometry.

Lattice parameters (Å, degrees): 3.9834 3.9834 31.5835 90.00 90.00 90.00
Space group I4/mmm (No. 139)
Asymmetric unit:
Bi 0.0000 0.0000 0.0855 (multiplicity 4)
Bi 0.0000 0.0000 0.2110 (multiplicity 4)
Pb 0.0000 0.0000 0.5000 (multiplicity 2)
Cl 0.0000 0.0000 0.3341 (multiplicity 4)
O 0.0000 0.5000 0.0545 (multiplicity 8)
O 0.0000 0.5000 0.2500 (multiplicity 4)

Summary:
- ΔH_f (0 K) (eV/atom) = -1.46
- mass density (g/cm3) = 8.0

***

Density functional theory data (PBE) for crystalline Rb3Bi2S2Cl5O10 at its relaxed geometry.

Lattice parameters (Å, degrees): 6.3397 21.7163 7.5506 90.00 96.70 90.00
Space group P2_1 (No. 4)
Asymmetric unit:
Rb 0.0058 0.0000 0.3921 (multiplicity 2)
Rb 0.1247 0.6910 0.3304 (multiplicity 2)
Rb 0.2545 0.8399 0.8225 (multiplicity 2)
Bi 0.3153 0.1746 0.2079 (multiplicity 2)
Bi 0.4264 0.5178 0.1388 (multiplicity 2)
S 0.0770 0.0313 0.8741 (multiplicity 2)
S 0.1893 0.6616 0.8134 (multiplicity 2)
Cl 0.2437 0.2650 0.4125 (multiplicity 2)
Cl 0.3670 0.2489 0.9405 (multiplicity 2)
Cl 0.3666 0.4273 0.3471 (multiplicity 2)
Cl 0.4436 0.0968 0.5257 (multiplicity 2)
********
### Here the entry continues

BUT the people insisted!

God told Samuel to let them have an earthly king.  However, it came with a warning and big price tag.  Such a king would cause them lots of trouble.

Such kings demanded taxes, to keep giving him their hard earned food; sons and daughters to work in the palace and fields.  They could not go home.  Nevertheless, they chose Saul the Benjamite to be their king.  King Saul seemed to have been a 'dream boat'.  He was very tall and handsome, a head taller than others.

At first he was a good king but pride raised its ugly head and King Saul disobeyed God in three major ways.  He got impatient and offered up the animal sacrifices that Samuel had said to wait for him to officiate.  Only Levite priests were allowed to do this, therefore Saul, despite being king, was unauthorized to perform the offering.

Another time in a battle, Samuel had told King Saul he had to destroy all the enemies and their animals.   This was what God had instructed.  However, King Saul kept the enemy king alive and some of the best looking animals to sacrifice.

Samuel told King Saul, it's wrong to disobey God's orders.  King Saul's motive was that, these are good, unblemished animals, and therefore, he would sacrifice them to God.  He totally disregarded God's will thus disobeying Him.

Can you see how off-base King Saul was becoming?  His pride and arrogance was blinding him.  We too need to be careful as it is more important to obey and honor God as it is He who made us.

He is our Creator and sustainer and He has the right to ask us to do this or that.

The famous verse comes in here in which Samuel said to Saul,

"To obey is better than sacrifice..." (1 Samuel 15:22).

The third disobedience happened after Samuel the prophet had died.  King Saul was in a delimma and wanted Samuel's advice.  What was he to do since Samuel was gone?!

His plan was to go to a medium which was absolutely forbidden by God!  King Saul desparately wanted to talk with deceased Samuel but God's Word tells us NOT to try to talk with or consult with the dead (see Leviticus 19:31 and Isaiah 8:19 ESV).  

Why didn't King Saul inquire of the Almighty living God directly, instead?  

But he was so out of sync with God he got it deplorably wrong, disobeying God yet again.

## Attached: data records
┌──
Ho4CdPt (PBE-GGA, optimized geometry); energy = -4.83 eV per atom; formation energy from the elements = -612 meV/atom; calculated density = 10.082 g/cm3
1.0
0.000 6.830 6.830
6.830 0.000 6.830
6.830 6.830 0.000
Ho Cd Pt
16 4 4
direct
0.185 0.185 0.815
0.185 0.815 0.185
0.185 0.815 0.815
0.399 0.399 0.399
0.399 0.399 0.804
0.399 0.804 0.399
0.560 0.560 0.940
0.560 0.940 0.560
0.560 0.940 0.940
0.804 0.399 0.399
0.815 0.185 0.185
0.815 0.185 0.815
0.815 0.815 0.185
0.940 0.560 0.560
0.940 0.560 0.940
0.940 0.940 0.560
0.168 0.168 0.168
0.168 0.168 0.496
0.168 0.496 0.168
0.496 0.168 0.168
0.179 0.607 0.607
0.607 0.179 0.607
0.607 0.607 0.179
0.607 0.607 0.607

---

TeMoWSeS2 (PBE-GGA, optimized geometry); corrected total energy (MP2020 scheme) = -7.21 eV per atom; ΔE to the lowest computed polymorph = 0 meV/atom; energy = -7.04 eV per atom; formation energy from the elements = -760 meV/atom; calculated density = 5.143 g/cm3
1.0
3.304 0.000 0.000
-1.652 2.861 0.000
0.000 0.000 37.595
Te Mo W Se S
2 2 2 2 4
direct
0.000 0.000 0.000
0.000 0.000 0.102
0.000 0.000 0.487
0.333 0.667 0.051
0.000 0.000 0.863
0.333 0.667 0.675
0.333 0.667 0.443
0.333 0.667 0.532
0.000 0.000 0.634
0.000 0.000 0.716
0.333 0.667 0.822
0.333 0.667 0.904

---

MgCu2SnHgS4 (PBE-GGA, optimized geometry); corrected total energy (MP2020 scheme) = -3.89 eV per atom; ΔE to the lowest computed polymorph = 63 meV/atom; energy = -3.67 eV per atom; formation energy from the elements = -487 meV/atom; calculated density = 4.881 g/cm3
1.0
-3.007 3.230 5.247
3.007 -3.230 5.247
3.007 3.230 -5.247
Mg Cu Sn Hg S
1 2 1 1 4
direct
0.000 0.000 0.000
0.257 0.257 0.000
0.743 0.743 0.000
0.500 0.000 0.500
0.000 0.500 0.500
0.069 0.093 0.459
0.366 0.907 0.976
0.634 0.610 0.541
0.931 0.390 0.024

---

BaZnSnF7 (PBE-GGA, optimized geometry); corrected total energy (MP2020 scheme) = -5.11 eV per atom; energy = -4.79 eV per atom; formation energy from the elements = -3050 meV/atom; calculated density = 4.980 g/cm3
1.0
5.832 0.000 0.000
0.000 10.436 0.000
-0.476 0.000 9.958
Ba Zn Sn F
4 4 4 28
direct
0.232 0.176 0.005
0.232 0.324 0.505
0.768 0.676 0.495
0.768 0.824 0.995
0.197 0.608 0.807
0.197 0.892 0.307
0.803 0.108 0.693
0.803 0.392 0.193
0.299 0.601 0.182
0.299 0.899 0.682
0.701 0.101 0.318
0.701 0.399 0.818
0.010 0.717 0.244
0.010 0.783 0.744
0.091 0.536 0.631
0.091 0.964 0.131
0.124 0.074 0.617
0.124 0.426 0.117
└──

In these three instances we see King Saul rejected the Word of the LORD.  The LORD then rejected King Saul from being king over Israel.  The house of Saul would end with Saul.

He did not honor God so God did not honor him.  As believers in Jesus Christ, we need to take heed and be careful to honor God every day in our thoughts and behavior.

King Saul had actually started well but he ended badly.  Let us always obey and honor God throughout our whole life.

God our Heavenly Father loves us and wants us to love Him back.  To show our love and gratitude to Him we can obey Him, thus honoring Him.

Leaders among us in church settings need to be extra careful to follow God's heart.  Not such an easy task but those in spiritual leadership roles, whether in Sunday School or the pulpit need to be in tune with their Savior and build that relationship with the Lord, staying sensitive to God's word and the Holy Spirit's leading.


Because God is our Creator and Jesus is our Savior.  Therefore we must always obey Him.

So doing, may well put us into conflict with society's norms.  The Israelites wanted to be "like all the other nations".  No doubt as human beings we want to 'fit in' but we need to first and foremost have our allegiance to God our Heavenly Father and His Word.  Worship and follow only Him; in so doing we will honor Him.

We will learn to trust and have faith in Him because He is the only true God.  We serve Him by obeying Him.

"To obey is better than sacrifice" (1 Samuel 15:22)
                                                        ~ERC  May 2024~

Based on 1 Samuel 8:1-21 and Kawan Grace Resource P4d Lesson 4 - The People Want a King

Sing, Trust and Obey, along with the VagleBrothers.

Tuesday, August 27, 2024

Doing God's Will (Hebrews 13)

 Whenever we feel like we've bombed out in our Christian living and that we've really made a hopeless mess, the mess of all messes and things are hopeless, through repentance, we can actually have a new beginning.  A new beginning to make things right with the Lord and others as needed.  Then we can pick up the pieces and continue doing God's will.

I don't know how many have the You Version of the Bible on your phones (and no I'm not adverstising here), but I have this on my phone.  It's great accountablility to being sure to read every day.  There are occasions though that I read  from my actual hands-on Bible and get to feel the literal pages of God's Good Book.  YouVersion will then remind me to continue my streak or else I'll have such a number of streaks to start counting all over again.  So I pick up and continue, creating a new streak of days.

The reminders can be annoying at times, for sure, especially when I really have read God's Word, just not from the Bible phone app.  Our living for Christ on a daily basis can be something like this.  We may falter and fail, but we can pick up and begin again creating a new streak of living for Him, doing His will.

Some may ask, 

   "What is doing God's will??

Well, when we do good and share with others, sacrificing our time, energy and even our allowance and more, God is pleased.  When we obey and honor our parents and leaders He has placed over us in positions of authority, God is pleased.  When we learn new skills, skills and talents that help us in the Great Commission and to live holy lives, teaching others about Jesus, God is pleased.  God's will has been put into action and it pleases Him.

God's will is good, pleasing and perfect (see Romans 12:2).  The results of doing God's will are that we won't simply follow whatever everyone else in the world thinks is ok.  

For instance, when they think gambling, slander, adultery, lying, drinking, abortion and more are ok, what will you think?  What will you do?  Test it by reading God's Word and Holy Spirit's guidance, asking yourself the Question, 

"Are they good, pleasing to God and perfect?"  


"Based on God's Word would I have a clear conscience if I do this or that?"

May the grace of God be with you all, blessing you and keeping you.  May you always hang tightly to our unshakeable Savior, Jesus Christ and depend upon Him all the days of your life until He comes to bring all His children to His City of the Living God, to be with Him forever.

Heavenly Father, I appreciate You and all You've done for me.  Help me in the days and years ahead to learn what Your will is for me and to do it, so that I may please You with the way I live my life.  May I be forever faithful to You who are so faithful and unshakeable to me.  In Jesus' name I give You my thanks and praise.  All glory be to God. Amen.

                                                       ~ERC  May 2024~

Based on Hebrews 13:15-16, 20-21 and Romans 12:1-2.

Sing, This is the Will of God, along with Forever Be Sure.

Sunday, August 25, 2024

A Clear Conscience (Hebrews 13:18)

 I don't know about you, but when I want to swim in a pool, which ahem, is not so often, but when I do, I like to inspect it first.  I think, "Hmm, what is the cleanliness quotient level at?"

"Is there any algae or fungus-like growth around the sides of the pool; are there leaves, grass or other debris floating in the water or even a cluster of frogs' eggs attached to the pool wall?" I ask myself.   If the pool is well cleaned, the aqua-marine colors reflected from the sky will look very clear through sparkling clear water.  That is a very inviting prospect into which to dive and splash about.

Having a clear conscience is like that water in a sparkling clean swimming pool.  When the conscience tells us we are doing something wrong or right we can address what needs the attention.

The writer of Hebrews asked his readers to pray for him on this account.  He wrote about his desire to...

"...have a clear conscience and desire to live honorably in every way" (Hebrews 13:18).

This involves holy living.  As a child of God in His unshakeable kingdom we need to reflect His righteousness, like the clear pool water reflects the beauty of the sky.  When we read the Word of God - that double-edged sword - the Holy Spirit will convict us in our conscience as needed, reminding us of God's way.

For example, the Holy Spirit may call our attention something like this,

"Hey, are you being obedient to this?" Or, "Are you deliberately sinning?" Or "Are you doing good and sharing with others?"  How about, "Are you remembering to sing praise?"

Giving the Lord praise is a type of sacrifice - did you know?

When the Holy Spirit convicts our conscience, then we have the choice to do something about it.  It's like when you get out the equipment to clean the algae and leaves from the pool.  When we repent of and confess our wrongs (see 1 John 1:9), our conscience will become clear.

Let's pray for one another to have and maintain a clear conscience and to live honorably in every way before the Lord, the Righteous One.

Father God, I humbly bow before You, seeking You, asking You for the Holy Spirit and Your Word to keep my consceince clear to live an honorable, holy life.  I want others to see You through my clean, clear living that will invite others to come to Jesus and into Your kingdom that cannot be shaken.  I ask in Jesus' name, amen.

                                                     ~ ERC  May 20924 ~

Based on Hebrews 13:16-18 NIV.

Sing, Beauty of the Cross (Preston Wood Choir), with Worship World.

Friday, August 23, 2024

The Living God's City


When the dark of night settles in, in a rural area or even in a city when the power goes off, and given a cloudless night, look wa-a-ay up at the sky.  What do you see?  A bright shining moon?  Twinkling stars, or perhaps even a shooting star?  The Northern Lights?

It can be most amazing to see; even breath-taking.  Just think, that's just like the bottom of heaven.  Imagine what it must look like above, to be in God's heavenly city!  It shines with the glory of God, like a very precious jewel (see Revelation 21:1).  

The great streets of the city were of pure gold (see Revelation 21:21).  It must be so glorious!  BUT, the best part of this city of the living God is the Lord God Almighty and the Lamb, Jesus our Sacrifice who is there (Revelation 21:22-23).  No lamps or lights are needed because Jesus is our Light.  There, there is absolutely no need to depend upon generator sets nor of city electricity.  Isn't that a wonder! 

Earthly cities can be destroyed but God's city - the heavenly Jerusalem where our Lamb and Light is, will endure forever.  It's unshakeable.

The Israelites of the Old Testament (OT) had an earthly city called Jerusalem.  It got destroyed in 587 or 586 BC, and again in AD70.  It did not endure despite being rebuilt.  Even today it is under attack.  Not so our Heavenly Jerusalem.  All followers of Jesus Christ can look forward to going there and being forever with Jesus, our living God in His forever city.

Remember kingdoms come and kingdoms go but not the kingdom of God as it is unshakeable.  The Kingdom of God is the kingdom that cannot be shaken and the one all who believe will receive.  Let us be thankful to our unshakeable living God and worship Him in reverence and awe.  He must be truly breath-taking.

Will you come and go with me to this city of the living God?


"Oh, Lamb of God, I come...I come just as I am because You have made it possible."

Lord God Almighty, it's exciting to think of going to Your astounding sounding city of the Living God.  Come soon and bring all of us who have trusted in Jesus up to Your Heavenly Jerusalem which endures for ever.

In Jesus' name I ask, amen.

                                                  ~ERC  May 2024~

Based on Hebrews 12:22-29 and 13:14 and Revelation 21.

Prayfully sing,  Just As I Am, along with Charles Szabo.

Book Review - Beyond Ivy Walls - By Rachel Fordham - Publication Date: 13 August 2024

 Beyond Ivy Walls has been such a pleasure to read!  It's been one of those late-into-the night, page-turning reads for me.  Such good, clean fun and amusing comedy coupled with feathers and letters and mysteriousness, kindness and compassion.  Oh, and wrapped in an envelope of unconditional love and romance that crept up and slowly burst into unsuspecting flame, without being cringy.

I believe that the Discussion Questions at story's end will help a reader or readers' group sort through some of the issues that presented themselves along the way.  

A very satisfying read for me, thus I give the author a 5-Star rating.  I hope to read more from Rachel Fordham in time to come.

                                              ~Eunice C.,  Reviewer/Blogger~

                                                               May 2024

Disclaimer:  I received a complimentary copy of this book. Opinions expressed in this review are completely my own.

Read review on Goodreads

Book Review - Baby Animals Trying - By Aimee Reid - Publication Date: 1 August 2024


Very cute illustrations, but this goes without saying actually, since this book is about baby animals and their beginning endeavors at life.  I found the script  to also be offered in a gently educational, almost subtle manner and feel this work for young children will be of great interest to them.

There's a range of animals mentioned such as:  foals, elephants, seals, honey bears, orangutangs and many more, which will keep any child enthused.  It would make for a pleasant reading session and time to connect with one's child, I'd say.  

At book's end, are further short blurbs about the various animals named within the previous pages.  These, perhaps are extras for slightly older children who can read and are keen on learning more about these babies in nature.

Together, author and illustrator have created a beautiful and enticing children's non-fiction book - at least in my humble opinion, they did.

I give this book a 5-Star rating.

                                              ~Eunice C.,  Reviewer/Blogger~

                                                               April 2024

Disclaimer:  This is my honest opinion based on the complimentary review copy sent by Net Galley and the publisher.

Read review on Goodreads.